Thursday, April 21, 2011

Journey into the unknown

As many of you know(and if you dont where were you hiding for the last month?) Sheldon and I took the daunting task of running for political office. Well honestly He did the running, and I was His live-in secretary! But it was the craziest month we have yet to experience. But it was also one of the most rewarding things we have done. Looking back, we knew we were getting in way over our heads, but even then we didnt have quite the understanding of how much. We were approached with the opportunity to take on this incredible job, and after much prayer and several confirmations, we agreed.(see how I keep saying "we" as if I did much other than support him and work the computer LOL). 
We jumped in and took off running, and didnt stop still after election day! Sheldon took on learning every possible thing he could soak up about politics, while attempting to call over 900 delegates and alternates, while making appearances at conventions and meetings, while also working 12 hour overnight shifts. His schedule on about every day looked something like this:

4pm - leave for work
5pm - start work
5am - leave work - 
6am - get home and try and fall asleep
7am - his phone ringing off the hook
8am - give up on sleep, shower and get ready
9am - leave for meetings, appearances and speeches
3pm - come back home to dress for work(and even then there were several times he took his clothes with him so he could dress at work)
4pm - start all over again

Needless to say He was running on fumes and the Holy Spirit by the end of week 3. Although a lot of people were in support of what Sheldon was doing, many others didnt even want to give him the time of day. Many times did we question if this was really where God wanted us. But NEVER did we give up. No matter how many times those delegates and alternates slammed the phone down on Sheldon, no matter how many times people negatively questioned his lack of political experience, He did not quit. He pressed on, tired, weary, discouraged several times, and out of energy, He pressed on. 
The closer we got, the more negative people around us became. But we prayed, and kept receiving confirmations and comfort that we were to stay on this path, this journey into the unknown. God sent caring, loving and supporting people to wrap themselves around us.
Come election day, Sheldon gave his speech and swayed several more votes his way. And although He did not "win", there was a victory that day. People swarmed around him to congratulate him on an amazing, touching and inspiring speech. And now that its been almost a week, we are still receiving emails from people telling Him that they cant wait till He runs again. He received 88 votes. Which has now turned into "the proud 88".

Maybe in all of this, the outcome was never for Sheldon to win the election, but to light a fire under some of these peoples chairs. To encourage them to take an extra step out of their comfort zone and do something about this world we live in. There is no doubt that it gets worse as the days go by. And if we dont step up and take our part and then some, who will? Why wait on someone else to do what we could just as easily do?

God reminded me of the story of Moses. He was called to lead the people out of slavery in Egypt into what was called the "promise land". A place of plenty, and peace. And he felt unqualified. He begged God to use another person, but God told Him he was to do it. (he did give him another person to speak for him) After trials and tribulations, and 40yrs in the desert the Israelite's were finally able to cross into this promised land. 

- - -
Material: Rb2SrP2O7
Method: DFT, PBE
State: relaxed

As for the polymorph energy (0 for the lowest one): 0.00 eV per formula unit. Its raw formation energy is -2.510 eV/atom.

Structure (CIF):
```
data_Rb2SrP2O7
_chemical_formula_sum 'Rb8 Sr4 P8 O28'
_symmetry_space_group_name_H-M 'C 1 2/c 1'
_symmetry_Int_Tables_number 15
_cell_length_a 10.4099
_cell_length_b 5.9563
_cell_length_c 13.7007
_cell_angle_alpha 90.00
_cell_angle_beta 106.77
_cell_angle_gamma 90.00
loop_
_symmetry_equiv_pos_as_xyz
'x,y,z'
'-x,-y,-z'
'-x,y,-z+1/2'
'x,-y,z+1/2'
'x+1/2,y+1/2,z'
'-x+1/2,-y+1/2,-z'
'-x+1/2,y+1/2,-z+1/2'
'x+1/2,-y+1/2,z+1/2'
loop_
_atom_site_label
_atom_site_fract_x
_atom_site_fract_y
_atom_site_fract_z
Rb1 0.1475 0.2206 0.1647
Sr1 0.2500 0.2500 0.5000
P1 0.0271 0.2724 0.8647
O1 0.0000 0.1600 0.7500
O2 0.1016 0.4952 0.8662
O3 0.1100 0.0903 0.9332
O4 0.1138 0.3033 0.6224
```

=====

# RbScSn

RbScSn after structural relaxation (PBE-GGA, the Alexandria database).

Lattice parameters (Å, degrees): 9.281 5.209 8.254 90.00 90.00 90.00
Atoms (fractional coordinates):
1 Rb 0.009 0.250 0.143
2 Rb 0.491 0.750 0.643
3 Rb 0.509 0.250 0.357
4 Rb 0.991 0.750 0.857
5 Sc 0.134 0.750 0.430
6 Sc 0.366 0.250 0.930
7 Sc 0.634 0.750 0.070
8 Sc 0.866 0.250 0.570
9 Sn 0.179 0.250 0.621
10 Sn 0.321 0.750 0.121
11 Sn 0.679 0.250 0.879
12 Sn 0.821 0.750 0.379

Output
Space-group type: Pnma
ΔH_f (0 K): -0.195 eV/atom
- - -

BUT.....Moses did not. Moses did all that hard work, pushing against forces that seemed to push back ten times harder, leading millions of people who complained, grumbled and back stabbed every chance they could. And although He was probably pretty sure He was going to make it to the final push, that was not Gods plan. Moses lead, Moses encouraged, Moses taught, Moses created relationships, Moses heard directly from God, But Moses did not enter into the worlds promise land. He was a great man, but Gods plan for him was bigger than He realized. He created these leaders from within the people who he lead out of slavery, and passed the baton to those people to go the final push. 

I believe Sheldons call was not to win this election, but to change the hearts and minds of the people he would come in contact with. Winning would have been nice, sure! But hearing so many people tell us over and over again "we have been praying for a man of God to step forward and become a leader for soooooo long!" was enough to help us understand that winning wasnt what was going to create a victory that day. The victory came from those whos hearts were pricked to be better, those who looked at a young man with no experience stepping up to something no one else had done and thought...what more can I do? And in those who met a passionate man of God, who was being obedient to the spirit even if it meant losing a worldly election. 88 people looked at Sheldon that day and said "we think Hes good enough for this job".....88 people took a chance on a man they had never heard of before, with no experience in mans eyes, and more than 88 people were touched by Sheldons message. Thats victory to me.

I am so grateful for every experience we are given. Sometimes that means winning, sometimes that means losing, sometimes that means both.......but every step I take I know that Gods plan is the master plan and He already has every answer written in the stars for me.

1 comment:

  1. It may have been a test of faith, obedience and endurance to propel you to greater things....In my estimation it looks like you passed with flying colors!!
